Dude note: To help celebrate and promote Celiac Awareness Month, I will be writing 30 blog posts over 30 consecutive days (weekends excluded) with the theme “30 Days of Helping 30 Celiacs”. Each post will be aimed toward helping one specific person or group of people. If you or someone you know needs help, guidance, advice or a shoulder to cry on, please contact me and I will do what I can to help. On the 31st day, you’re on your own. Totally kidding.
Today’s 30 for 30 blog post is for: Parents of children with celiac disease.
After Monday’s post became such a debacle, I thought I’d give my blog a rest for a bit. The internet can drain me at times. Spend a day on Twitter and your head will explode.
But then I received the following message on Facebook and it put a smile on my face. A big one. It’s a poem someone wrote to her best friend’s daughter, who had just been diagnosed with celiac disease.
I hope it puts a smile on your face too.
She loved the poem so in the spirit of helping other Celiacs, I thought I would share it for other mothers to share with their children.
“Ode to Celiac Disease” by Tracey Decter
[What comes next are calculated crystals, not part of the article]
-- begin --
Compound: CsTiCl3
Source: the Materials Project database
Functional: meta-GGA r2SCAN
Structure: optimized geometry

a = 7.4012 Å, b = 7.4012 Å, c = 5.9238 Å
α = 90.00°, β = 90.00°, γ = 120.00°
With the nearest neighbours (Å) after each atom.
Atoms (fractional coordinates):
Cs1 0.3333 0.6667 0.2500  12 Cl 3.70
Cs2 0.6667 0.3333 0.7500  12 Cl 3.70
Ti1 0.0000 0.0000 0.0000  6 Cl 2.53
Ti2 0.0000 0.0000 0.5000  6 Cl 2.53
Cl1 0.1605 0.3210 0.7500  2 Ti 2.53
Cl2 0.1605 0.8395 0.7500  2 Ti 2.53
Cl3 0.3210 0.1605 0.2500  2 Ti 2.53
Cl4 0.6790 0.8395 0.7500  2 Ti 2.53
Cl5 0.8395 0.1605 0.2500  2 Ti 2.53
Cl6 0.8395 0.6790 0.2500  2 Ti 2.53

Calculated values
Total magnetic moment in μB/atom: 0.4000
Formation energy from the elements in eV/atom: -1.9462

----------

Density functional theory data (PBE-GGA) for a relaxed Na10Si9Ge8S3O48 crystal.

Values from the calculation:
* crystal system: triclinic
* DFT total energy: -6.46 eV/atom
* SG: P1 (1)

Unit cell a=17.3144 b=8.6645 c=21.6269 alpha=90.28 beta=90.12 gamma=119.92
With the nearest neighbours (Å) after each atom.
Element x y z (fractional)
Na1 0.3188 0.0017 0.2489  3 O 2.24-2.50
Na2 0.8188 0.0023 0.2495  3 O 2.24-2.50
Na3 0.1838 0.9919 0.7466  6 O 2.31-2.57
Na4 0.6828 0.9983 0.7460  6 O 2.34-2.60
Na5 0.0173 0.6991 0.5794  5 O 2.31-2.50
Na6 0.5173 0.6999 0.5791  5 O 2.32-2.50
Na7 0.0174 0.3327 0.0792  6 O 2.33-2.55
Na8 0.5163 0.3318 0.0797  6 O 2.33-2.54
Na9 0.4828 0.6644 0.9156  5 O 2.30-2.53
Na10 0.3494 0.0328 0.9156  6 O 2.34-2.61
Na11 0.8520 0.0390 0.9126  5 O 2.30-2.49
Na12 0.1640 0.3027 0.9194  6 O 2.35-2.63
Na13 0.4832 0.3010 0.4155  5 O 2.30-2.55
Na14 0.9832 0.3012 0.4155  5 O 2.29-2.55
Na15 0.1660 0.0338 0.4179  5 O 2.29-2.52
Na16 0.6660 0.0340 0.4178  5 O 2.29-2.52
Na17 0.3507 0.6671 0.4161  7 O 2.35-2.62
Na18 0.8508 0.6670 0.4160  7 O 2.35-2.62
Na19 0.0003 0.0064 0.5026  6 O 2.38-2.52
Na20 0.5001 0.0060 0.5024  6 O 2.39-2.52
Na21 0.0038 0.9878 0.0022  6 O 2.38-2.58
Na22 0.5062 0.0062 0.0003  6 O 2.36-2.54
Na23 0.3412 0.3409 0.8309  6 O 2.33-2.56
Na24 0.8434 0.3530 0.8328  6 O 2.31-2.54
Na25 0.3377 0.3529 0.3304  6 O 2.31-2.59
Na26 0.8376 0.3528 0.3303  5 O 2.30-2.49
Na27 0.1709 0.6601 0.1661  6 O 2.34-2.57
Na28 0.6711 0.6583 0.1674  6 O 2.35-2.54
Na29 0.1759 0.6676 0.6671  6 O 2.32-2.55
Na30 0.6758 0.6645 0.6657  6 O 2.29-2.52
Si1 0.3579 0.7114 0.2488  4 O 1.63-1.65
Si2 0.8577 0.7109 0.2491  4 O 1.62-1.66
Si3 0.0024 0.2996 0.2504  4 O 1.62-1.66
Si4 0.5024 0.2996 0.2505  4 O 1.62-1.65
Si5 0.9976 0.7018 0.7515  4 O 1.63-1.66
Si6 0.4953 0.7037 0.7503  4 O 1.62-1.66
Si7 0.3581 0.9984 0.7497  4 O 1.63-1.67
Si8 0.8574 0.9970 0.7500  4 O 1.62-1.66
Si9 0.1888 0.0483 0.5846  4 O 1.63-1.67
Si10 0.6894 0.0492 0.5849  4 O 1.63-1.67
Si11 0.3271 0.6106 0.5837  4 O 1.62-1.66
Si12 0.8271 0.6103 0.5837  4 O 1.62-1.66
Si13 0.3269 0.0413 0.0837  4 O 1.62-1.67
Si14 0.8283 0.0377 0.0847  4 O 1.62-1.65
Si15 0.1897 0.3302 0.0841  4 O 1.62-1.67
Si16 0.6912 0.3308 0.0836  4 O 1.62-1.67
-- stop --
[Back to the article]
When Celiac has got you down,
Poke his eye and you won’t frown.
If you prefer, just bop his head,
And make HIS tummy hurt instead.
This little guy is super cute!
He thinks it’s funny when you toot!
Although you may feel constipated,
Gluten foods are overrated.
Don’t use a fork to eat your soup!
Don’t tell me when it’s time to poop!
I wish you well with all my heart,
But leave the room if you must fart!
She sent it with a stuffed animal stomach.
Thanks for everything you do. It has helped me help my daughter this past year.
That’s awesome! I don’t care how old you are – fart jokes (and poems) are funny. 😉
The last post did get crazy didn’t it? Don’t worry – those parents will be fine. Most of us get to the point where we can see through the BS. They will too if they’re not in fact there already.
Great smile for the day! Thanks!
Excellent!!! That’s the type of poetry I wish I could write. Alas, I
can’t- that’s right, I said “alas” . There ‘s a word we don’t use nearly enough.
Have a good one, GD.
Alas, Sue, I agree, we don’t. Let’s bring it back. 🙂
You can write poetry. Just pick up your pen , let your mind go and just write….. free style it. Bet you come out with something
Perhaps I will, forthwith…I’ll stop now:)
No, don’t. I love old school tawk. lol
Alas, me too. Now I shall go forthwith and make myself something more to eat 🙂
methinks we would enjoy a health repast together sometime.
alas, we are scattered across the planet.
Love love love it!
Gotta read that on Stern SMILE
oh wow, heart rhyming with fart = superb!
After getting hit last week, this is the first thing that’s made me genuinely laugh. I really needed that.
Love it. Can I have a go?
Dear Celiac,
You suck.
You are a literal pain in my butt.
You trigger such reactions,
like headaches and depressions.
You truly leave me tired,
confused and uninspired.
-- Materials data from another source follow --
'''
Entry 1:
DFT (PBE+U) results for a relaxed structure of ZnP2W2O10.

Cell: 9.257 7.268 10.553 Å, 59.22 42.42 78.37°
Positions (direct):
Zn 0.000 0.000 0.000
Zn 0.250 0.250 0.250
P 0.065 0.482 0.514
P 0.311 0.736 0.768
P 0.482 0.065 0.939
P 0.736 0.311 0.185
W 0.419 0.866 0.355
W 0.866 0.419 0.360
W 0.890 0.895 0.384
W 0.895 0.890 0.831
O 0.122 0.471 0.333
O 0.138 0.958 0.523
O 0.164 0.541 0.011
O 0.176 0.917 0.779
O 0.239 0.966 0.086
O 0.275 0.599 0.415
O 0.342 0.665 0.634
O 0.471 0.122 0.074
O 0.539 0.835 0.651
O 0.541 0.164 0.284
O 0.599 0.275 0.711
O 0.616 0.891 0.908
O 0.665 0.342 0.359
O 0.727 0.868 0.112
O 0.835 0.539 0.975
O 0.868 0.727 0.292
O 0.891 0.616 0.585
O 0.917 0.176 0.128
O 0.958 0.138 0.382
O 0.966 0.239 0.709

Values from the calculation:
- volume (Å³ per atom) = 13.1
- ΔE_f (eV/atom) = -2.268
- crystal system = orthorhombic
- M_tot (μB/cell) = 8.00
- theoretical density (kg/m3) = 5550
- space group = No. 43



Entry 2:
DFT (PBE+U) results for a relaxed structure of Li2MnF5.

Cell: 13.992 5.417 14.392 Å, 90.00 92.74 90.00°
Positions (direct):
Li 0.030 0.229 0.414
Li 0.030 0.271 0.914
Li 0.085 0.657 0.785
Li 0.085 0.843 0.285
Li 0.238 0.245 0.383
Li 0.238 0.255 0.883
Li 0.303 0.712 0.253
Li 0.303 0.788 0.753
Li 0.360 0.216 0.072
Li 0.360 0.284 0.572
Li 0.434 0.697 0.952
Li 0.434 0.803 0.452
Li 0.566 0.197 0.548
Li 0.566 0.303 0.048
Li 0.640 0.716 0.428
Li 0.640 0.784 0.928
Li 0.697 0.212 0.247
Li 0.697 0.288 0.747
Li 0.762 0.745 0.117
Li 0.762 0.755 0.617
Li 0.915 0.157 0.715
Li 0.915 0.343 0.215
Li 0.970 0.729 0.086
Li 0.970 0.771 0.586
Mn 0.137 0.246 0.665
Mn 0.137 0.254 0.165
Mn 0.205 0.741 0.490
Mn 0.205 0.759 0.990
Mn 0.462 0.247 0.835
Mn 0.462 0.253 0.335
Mn 0.538 0.747 0.665
Mn 0.538 0.753 0.165
Mn 0.795 0.241 0.010
Mn 0.795 0.259 0.510
Mn 0.863 0.746 0.835
Mn 0.863 0.754 0.335
F 0.034 0.023 0.672
F 0.034 0.477 0.172
F 0.046 0.507 0.652
F 0.046 0.993 0.152
F 0.086 0.604 0.997
F 0.086 0.896 0.497
F 0.128 0.198 0.308
F 0.128 0.302 0.808
F 0.143 0.073 0.982
F 0.143 0.427 0.482
F 0.202 0.749 0.846
F 0.202 0.751 0.346
F 0.219 0.520 0.166
F 0.219 0.980 0.666
F 0.238 0.033 0.155
F 0.238 0.467 0.655
F 0.268 0.050 0.492
F 0.268 0.450 0.992
F 0.328 0.597 0.500
F 0.328 0.903 0.000
F 0.341 0.096 0.824
F 0.341 0.404 0.324
F 0.398 0.551 0.813
F 0.398 0.949 0.313
F 0.422 0.589 0.168
F 0.422 0.911 0.668
F 0.447 0.180 0.475
F 0.447 0.320 0.975
F 0.480 0.062 0.137
F 0.480 0.438 0.637
F 0.520 0.562 0.363
F 0.520 0.938 0.863
F 0.553 0.680 0.025
F 0.553 0.820 0.525
F 0.578 0.089 0.332
F 0.578 0.411 0.832
F 0.602 0.051 0.687
F 0.602 0.449 0.187
F 0.659 0.596 0.676
F 0.659 0.904 0.176
F 0.672 0.097 0.000
F 0.672 0.403 0.500
F 0.732 0.550 0.008
F 0.732 0.950 0.508
F 0.762 0.533 0.345
F 0.762 0.967 0.845
F 0.781 0.020 0.334
F 0.781 0.480 0.834
F 0.798 0.249 0.654
F 0.798 0.251 0.154
F 0.857 0.573 0.518
F 0.857 0.927 0.018
F 0.872 0.698 0.192
F 0.872 0.802 0.692
F 0.914 0.104 0.503
F 0.914 0.396 0.003
F 0.954 0.007 0.848
F 0.954 0.493 0.348
'''
-- The materials data stop here --
If I could take you,
eradicate you-
rid of you forever;
I would bury you like a Soprano
in Jersey
Ciao. Forever.
Jersey Girl
That s got “rap” written all over it. You’re good.
You’re right. I actually read it like I was 50 cent.
Yeah you got that right! JGirl I always love your music quotes at the end of your comments and you’ve got some skilz 🙂
yo ! JG got some mad skilz!
i’m cool. we all cool
Nicely done JG!!!
I can’t wait to share this poem with my kids when they get home from school. They love to laugh about farts and poop…
Thanks so much for writing it, Tracey, and sharing it, GD. Hope that your week improves.
My entire family thinks fahts are funny.
Must be a Bahston thing.
As president of the “I’m really not that mature” club, farts will always make me giggle.
Phew GD, what a day yesterday! Love it and big ups for the reprieve. What a job you have! Hope you can chill and have a Tito’s 🙂
I just may take your advice…
it’s not even Friday, but it sure feels like it.
I am exhausted. 🙁